If anyone has a photo they can post or email that shows your dog(s) on a retractable leash -- successfully or otherwise -- that I might be able to use for an upcoming column at SFGate.com, I'd love to see it.
You can email it to me or, if it's online already, just post the URL in the comments section and I can get it that way. Please identify how you would like it credited, and of course, your dog's name.
Thanks, straybaby! How would you like that credited?
Posted by: Christie Keith | 02 August 2007 at 08:00 PM
Comment by shadepuppy — August 2, 2007 @ 11:47
i use 15-25 ft training leads. much easier to handle for me than a flexi and i was warned against flexi's by someone who knew the damage they could do. i just shorten the lead for street walking, but have the option to give more leash when when we hit the park.
i will cross the street in a heartbeat to avoid another dog coming my way on a flexi. the flexi owners around me seem to leave their brains (if they have any!) at home when they walk their dogs.
late night walk:
Posted by: straybaby | 02 August 2007 at 08:00 PM
I love the Flexi, but only the tape models -- not the cord. Luisa, I've seen (and felt) the pain and injury that the cord can cause, especially with young, bouncy dogs. The tape models won't do any more damage, I believe, than a regular leash if someone runs into it.
My dogs were medium size, sweet-natured, and generally well-mannered, but they did love to walk ahead or behind and check out as many smells as they could on a walk. I know that the Dog Whisperer says that meant the dogs were in charge, but they never had any bad habits because of it, so I didn't care. The constant tension of the leash, I will admit, probably added a bit to Squirt's pulling, and I will re-think that for my next dog. At the time, it worked well for what I wanted -- a leash that didn't get in my way, and one that I could flip over bushes/mailboxes/boulders that happened to get between me and my dogs. For training, definitely a straight lead, but for fun walking, I really have loved the Flexi leads. I don't have any photos, but I did tape a video of one of my last walks with Squirt -- walking (doddering) ahead of me down the street, heading home. Now that he's gone, I can still play the tape and "walk my dog".
Posted by: shadepuppy | 02 August 2007 at 08:00 PM
LOL, well, I tackle the bad rap of the Flexi, and explain why it's a tool I love, but only used properly.
You'll have to pry my Flexis out of my cold, stiff hands. ;)
Posted by: Christie Keith | 02 August 2007 at 08:00 PM
Shot in the dark, Christie, but I'm going to assume you don't have a photo on hand because you'd never use one of the damn things.
Here the entry breaks off for materials data:
┌──
Entry 1:
This entry pairs a crystal structure of CeMg2 with its calculated X-ray powder pattern. Radiation: Cu Kα, 1.54184 Å. Structure: a cell relaxed with PBE.
No peak broadening, texture or thermal motion is included.

Structural model:
a b c (Å): 3.1771 3.1771 16.4111
angles (deg): 90.00 90.00 120.00
Space group P-3m1 (No. 164)
Unique sites:
Ce  0.3333  0.6667  0.4085 x2
Mg  0.3333  0.6667  0.0782 x2
Mg  0.3333  0.6667  0.7687 x2

Largest 10 diffraction maxima, most intense first, 10° ≤ 2θ ≤ 90°:
| two_theta | I/Imax | index |
| --- | --- | --- |
| 36.56 | 100 | 1 0 3 |
| 34.38 | 44 | 0 1 2 |
| 32.74 | 27 | 0 0 6 |
| 33.01 | 25 | 0 1 1 |
| 32.54 | 24 | 1 0 0 |
| 10.78 | 24 | 0 0 2 |
| 27.17 | 23 | 0 0 5 |
| 68.28 | 19 | 1 1 6 |
| 58.06 | 18 | 1 1 0 |
| 60.95 | 17 | 1 0 9 |



Entry 2:
This entry pairs a crystal structure of RbCeF4 with its calculated X-ray powder pattern. Radiation: Cu Kα, 1.54184 Å. Structure: a cell relaxed with PBE.
No peak broadening, texture or thermal motion is included.

Structural model:
a b c (Å): 6.541 3.796 16.391
angles (deg): 90.00 90.00 90.00
Space group Pnma (No. 62)
Unique sites:
Rb  0.225  0.250  0.200 x4
Ce  0.249  0.750  0.441 x4
F  0.000  0.250  0.056 x4
F  0.097  0.250  0.813 x4
F  0.110  0.250  0.368 x4
F  0.133  0.250  0.534 x4

Largest 10 diffraction maxima, most intense first, 10° ≤ 2θ ≤ 90°:
| two_theta | I/Imax | index |
| --- | --- | --- |
| 25.65 | 100 | 1 0 4 |
| 27.71 | 82 | 1 1 1 |
| 39.95 | 62 | 2 1 3 |
| 28.64 | 45 | 0 1 3 |
| 27.27 | 42 | 2 0 0 |
| 47.71 | 39 | 1 1 7 |
| 47.22 | 29 | 3 0 4 |
| 36.22 | 29 | 0 1 5 |
| 48.47 | 26 | 3 1 1 |
| 45.91 | 26 | 2 1 5 |



Entry 3:
This entry pairs a crystal structure of BaInCuF7 with its calculated X-ray powder pattern. Radiation: Cu Kα, 1.54184 Å. Structure: a cell relaxed with PBE.
No peak broadening, texture or thermal motion is included.

Structural model:
a b c (Å): 9.660 9.705 7.887
angles (deg): 90.00 125.04 90.00
Space group C2/c (No. 15)
Unique sites:
Ba  0.000  0.116  0.250 x4
In  0.000  0.500  0.000 x4
Cu  0.250  0.250  0.000 x4
F  0.000  0.404  0.750 x4
F  0.115  0.112  0.006 x8
F  0.146  0.350  0.497 x8
F  0.216  0.371  0.175 x8

Largest 10 diffraction maxima, most intense first, 10° ≤ 2θ ≤ 90°:
| two_theta | I/Imax | index |
| --- | --- | --- |
| 24.80 | 100 | 1 1 -2 |
| 29.13 | 73 | 2 2 0 |
| 29.81 | 69 | 1 3 0 |
| 29.99 | 69 | 2 2 -2 |
| 24.06 | 62 | 1 1 1 |
| 37.66 | 57 | 2 2 1 |
| 53.57 | 48 | 4 4 -2 |
| 30.38 | 47 | 3 1 -2 |
| 38.98 | 42 | 2 2 -3 |
| 48.28 | 40 | 1 5 0 |

=====

# 1
Diffraction record for NdCuSiNi6. The powder XRD pattern is theoretical, not measured: it uses a cell relaxed with GGA-PBE and Cu Ka.
No peak broadening, texture or thermal motion is included.

Top 6 peaks for 5° ≤ 2θ ≤ 70°, by angle:
- hkl 2 1 1, 2θ = 32.4°, I 69
- hkl 2 2 0, 2θ = 36.7°, I 100
- hkl 1 2 3, 2θ = 37.3°, I 72
- hkl 2 1 3, 2θ = 41.0°, I 57
- hkl 0 2 4, 2θ = 41.6°, I 88
- hkl 0 4 0, 2θ = 44.5°, I 77

Structure:
```
data_NdCuSiNi6
└──
I hate those stupid Flexis. Hate 'em. Joel Stein's remark in an old Time Magazine column is classic: "Why don't you just let your dog run loose, and carry a stick to trip people with?" [Or words to that effect.]
A friend of mine was walking her border collie on a Flexi when her dog was attacked by a golden retriever mix that pulled away from its owners. The border collie suffered some bites and bruises, but the worst injury was to my friend's hand --- a deep gash where the Flexi cord sliced her as she tried to haul her dog in fast to keep it away from the charging golden mix. My friend didn't get stitches, but it was a nasty cut.
If she had been using a good leather lead, chances are neither she nor her dog would have been hurt. She would have been able to take a safe, secure grip on her dog's leash and pull her out of danger while the inept owners got their aggressive dog under control.
PSA: If you must use a Flexi, save it for places where there are no people to trip, and no other dogs.
[slaps forehead] I'll have to recycle all this for my blog when your column comes out ;~)
Posted by: Luisa | 02 August 2007 at 08:00 PM
Christie, I've got dozens of photos of Bailey, including this one of her walking herself on a retractable lead.
Oddly, I never liked to use it when I lived in the US, but now I use it all the time.
Posted by: KathyF | 03 August 2007 at 08:00 PM
We use a 8 ft. leash, a Halti, and a Flexi (not all at once!). We are very alert to our surroundings when we use the Flexi (our dog is NOT the kind of dog that you can walk and use an iPod, or heaven forbid, a cell)and she loves it because she can can get ahead of our pokey pace. I am quite good on the stop button, and use it automatically, but my spouse did make the mistake of grabbing the cord - once.
Posted by: Mr. Scruffy | 04 August 2007 at 08:00 PM
And we didn't ever use one on our "best trained obedience dog" because she was trained to walk on an absolutely loose lead, and the amount of back-pressure from a Flexi would bring her to a halt!
Posted by: The OTHER Pat | 05 August 2007 at 08:00 PM
Re:i will cross the street in a heartbeat to avoid another dog coming my way on a flexi. the flexi owners around me seem to leave their brains (if they have any!) at home when they walk their dogs.
Straybaby I absolutely agree with you and I used to cross the street as well. People with the retractable leads let their dogs go whereever they want to go no matter what their temperament. In my opinion they are dangerous to all. In my 350 unit community we have had many a dog fight due to people using those leads. And we have had shoulder injuiries and people thrown right to the ground when the dog bolted on the owner. I do not believe it is possible to get the proper leverage that you can achieve with a regular 6/8 ft or so leash. Living in close quarters our animals need to walk beside us and not have the ability to go after neighbors. So I hope you are going to properly warn against these "leashes". They really are only suitable in my opinion for the best trained obedience dog. Sorry, but that is what I have observed.
Posted by: Shawn | 05 August 2007 at 08:00 PM
Hey Christie, no credit needed! 2AM cell phone shots remain anon, lol!~ ;)
Posted by: straybaby | 05 August 2007 at 08:00 PM
So I was just driving down a 50 mph road (which means drivers generally do 60 mph on it) and there on the shoulder was a gal walking a White German Shepherd on a Flexi, pulled out to its full extension.
Now tell me - if that dog suddenly decided to check out something in the middle of the road, just HOW was she going to get him pulled back in time?
I really, really, REALLY hate those things . . . . . . . . . . .
Posted by: The OTHER Pat | 06 August 2007 at 08:00 PM